722 N. 145th St. | Shoreline, WA 98133

Stewardship, Part 1

From our Rector

Thanks be to God; our church is flourishing! We have enjoyed another strong year of growth. Giving has increased, and our expenses are well managed by our treasurer, staff and vestry. Your financial support and participation allow St. Dunstan’s Church to continue making a difference in people’s lives and in the world. For all this, I offer my heartfelt gratitude to you and to God.

In the Highlights this week and next, we will give you the information you need as you make your pledge to support St. Dunstan’s Church in 2019. This week we will describe our mission and some of the ways we are working to fulfill it. We will describe proportional giving as a way of trusting in God’s abundance in our lives. We will also tell you about the sources of income in our budget and how much our members are giving.

Next week we will describe the ways we are spending your gifts to fulfill our mission. We will give a report on how we are doing (very well, thanks be to God!) and we will describe some of our hopes for our mission in 2019.

Yours in Christ,

Next to the page, the page also holds records of crystals:
1.
Below is a relaxed SiW crystal, with properties calculated at the PBE level.

Output
Formation energy from raw total energies   0.5 eV per formula unit
DFT total energy   -8.91 eV per atom
Calculated density   11.7 g cm⁻³

Unit cell a=4.3986 b=4.3986 c=4.3986 alpha=60.00 beta=60.00 gamma=60.00
With the nearest neighbours (Å) after each atom.
Element x y z (fractional)
1 Si 0.1250 0.1250 0.1250  4 W 2.69, 4 Si 2.69
2 Si 0.8750 0.8750 0.8750  4 W 2.69, 4 Si 2.69
3 W 0.3750 0.3750 0.3750  4 W 2.69, 4 Si 2.69
4 W 0.6250 0.6250 0.6250  4 Si 2.69, 4 W 2.69


2.
Below is a relaxed Si2W crystal, with properties calculated at the PBE level.

Output
Formation energy from raw total energies   0.9 eV per formula unit
ΔE to the lowest computed polymorph   1.970 eV/f.u.
DFT total energy   -7.63 eV per atom
Calculated density   8.5 g cm⁻³

Unit cell a=9.8660 b=9.8660 c=9.8660 alpha=161.83 beta=161.83 gamma=25.80
With the nearest neighbours (Å) after each atom.
Element x y z (fractional)
1 Si 0.3035 0.5535 0.7500  3 Si 2.58-2.75, 4 W 2.60
2 Si 0.4465 0.6965 0.7500  3 Si 2.58-2.75, 4 W 2.60
3 Si 0.5535 0.3035 0.2500  3 Si 2.58-2.75, 4 W 2.60
4 Si 0.6965 0.4465 0.2500  3 Si 2.58-2.75, 4 W 2.60
5 W 0.1250 0.8750 0.2500  8 Si 2.60
6 W 0.8750 0.1250 0.7500  8 Si 2.60


3.
Below is a relaxed SiW crystal, with properties calculated at the PBE level.

Output
Formation energy from raw total energies   -0.2 eV per formula unit
DFT total energy   -9.29 eV per atom
Calculated density   11.7 g cm⁻³

Unit cell a=3.1512 b=3.1512 c=3.5039 alpha=90.00 beta=90.00 gamma=120.00
With the nearest neighbours (Å) after each atom.
Element x y z (fractional)
1 Si 0.0000 0.0000 0.0000  6 W 2.53
2 W 0.6667 0.3333 0.5000  6 Si 2.53


4.
Below is a relaxed Si5W3 crystal, with properties calculated at the PBE level.

Output
Formation energy from raw total energies   1.8 eV per formula unit
ΔE to the lowest computed polymorph   1.148 eV/f.u.
DFT total energy   -8.03 eV per atom
Calculated density   9.7 g cm⁻³

Unit cell a=7.5647 b=7.5647 c=4.8006 alpha=90.00 beta=90.00 gamma=120.00
With the nearest neighbours (Å) after each atom.
Element x y z (fractional)
1 Si 0.0000 0.2334 0.2500  4 W 2.52-2.65
2 Si 0.0000 0.7666 0.7500  4 W 2.52-2.65
3 Si 0.2334 0.0000 0.2500  4 W 2.52-2.65
4 Si 0.2334 0.2334 0.7500  4 W 2.52-2.65
5 Si 0.3333 0.6667 0.0000  2 Si 2.40, 6 W 2.65
6 Si 0.3333 0.6667 0.5000  2 Si 2.40, 6 W 2.65
7 Si 0.6667 0.3333 0.0000  2 Si 2.40, 6 W 2.65
8 Si 0.6667 0.3333 0.5000  2 Si 2.40, 6 W 2.65
9 Si 0.7666 0.0000 0.7500  4 W 2.52-2.65
10 Si 0.7666 0.7666 0.2500  4 W 2.52-2.65
11 W 0.0000 0.3817 0.7500  8 Si 2.52-2.65
12 W 0.0000 0.6183 0.2500  8 Si 2.52-2.65
13 W 0.3817 0.0000 0.7500  8 Si 2.52-2.65
14 W 0.3817 0.3817 0.2500  8 Si 2.52-2.65
15 W 0.6183 0.0000 0.2500  8 Si 2.52-2.65
16 W 0.6183 0.6183 0.7500  8 Si 2.52-2.65


5.
Below is a relaxed Si3W4 crystal, with properties calculated at the PBE level.

Output
Formation energy from raw total energies   1.0 eV per formula unit

We give to support the St. Dunstan’s Mission:

Inspired by our worship together, we grow in Christ through
welcoming the stranger,
feeding hungry bodies and spirits,
giving of ourselves, and inviting others to join us in this journey of faith.

We are empowered to do the mission because we worship together and grow in Christ. Worship is both the heart of what we do together and the foundation for our community. All areas of our work, fellowship and mission flow from worship in one way or another, as is evident by the central prominence of our worship space.

We welcome the stranger

In the past six years we have hosted five homeless camps on our campus. We welcome people to our worship, to our campus for 12-step meetings, and to our Community Dinner on Tuesday nights.

We are the church that feeds people

Dinner prep begins at 3pm
Dinner prep begins at 3pm

We fed over 16,633 people already this year, and just this week we began delivering food to an additional 40 people living in a homeless shelter of tiny houses in North Seattle. At our Harvest Dinner, the St. Agnes Guild fed us, including several people whose association with St. Dunstan’s is through our feeding program.

We Give of Ourselves

We give of ourselves in many ways, from responding to prayer needs on our Care Teams, to teaching children in our Sunday School, to washing dishes after a meal, to lifting our voices in prayer and song as we worship together.

There is a component of invitation in our mission. We are inviting people to be welcome and to participate in a welcoming community. We are inviting people to be fed and to participate in acts of feeding. We are inviting people to receive our gifts and to participate in a generous community that gives of itself for the blessing of others.

Calculated crystals that have nothing to do with the piece >
<<<
DFT (GGA-PBE) results for Cs2RbCdGe after structural relaxation.

* DFT formation energy: 102.6 meV/atom
* DOS(E_F): 3.70 states/eV/f.u.
* space group: P4/mmm
* V: 59.85 Å³/atom
* total magnetization: 0.00 μB per formula unit
* final energy: -1.539 eV/atom

abc: 7.5914 7.5914 5.1926
angles: 90.00 90.00 90.00
Positions (direct):
Cs1 0.0000 0.5000 0.0000
Cs2 0.5000 0.0000 0.0000
Ge1 0.0000 0.0000 0.0000
Rb1 0.5000 0.5000 0.5000
Cd1 0.0000 0.0000 0.5000

---

DFT (GGA-PBE) results for CsCd2GeRh after structural relaxation.

* DFT formation energy: -162.7 meV/atom
* DOS(E_F): 1.64 states/eV/f.u.
* space group: P4/mmm
* V: 27.97 Å³/atom
* total magnetization: 0.00 μB per formula unit
* final energy: -3.093 eV/atom

abc: 5.4208 5.4208 4.7596
angles: 90.00 90.00 90.00
Positions (direct):
Cs1 0.5000 0.5000 0.5000
Ge1 0.0000 0.0000 0.5000
Rh1 0.0000 0.0000 0.0000
Cd1 0.0000 0.5000 0.0000
Cd2 0.5000 0.0000 0.0000

=====

BaCdO2 | PBE | relaxed

Calculated values
**SG**: P4/nmm
**Formation energy (no corrections)**: -166.1 kJ per mole of atoms

Cell lengths 4.2486, 4.2486, 8.2773 Å; angles 89.99, 89.99, 90.00 degrees
Atoms (fractional coordinates):
1 Ba 0.2498 0.2498 0.8284
2 Ba 0.7502 0.7502 0.1716
3 Cd 0.2500 0.2500 0.4026
4 Cd 0.7500 0.7500 0.5974
5 O 0.7505 0.7505 0.8676
6 O 0.7499 0.2501 0.5000
7 O 0.2495 0.2495 0.1324
8 O 0.2501 0.7499 0.5000

=====

## w
The following is a DFT calculation (PBE) of an optimized crystal structure of BaSr2LiPt.

Properties
Fermi-level density of states ... 3.39 states/eV/cell
Space group ... No. 123

a = 5.981 Å, b = 5.981 Å, c = 6.210 Å
α = 90.00°, β = 90.00°, γ = 90.00°
Fractional coordinates of all 5 atoms:
Ba: 0.000 0.000 0.000
Sr: 0.000 0.500 0.500
Sr: 0.500 0.000 0.500
Li: 0.500 0.500 0.000
Pt: 0.000 0.000 0.500


## x
The following is a DFT calculation (PBE) of an optimized crystal structure of BaSr2LiPt.

Properties
Fermi-level density of states ... 5.02 states/eV/cell
Space group ... No. 123

a = 5.969 Å, b = 5.969 Å, c = 5.442 Å
α = 90.00°, β = 90.00°, γ = 90.00°
Fractional coordinates of all 5 atoms:
Ba: 0.000 0.000 0.000
Sr: 0.000 0.500 0.500
Sr: 0.500 0.000 0.500
Li: 0.500 0.500 0.000
Pt: 0.500 0.500 0.500


How do the energies compare? Relative to the most stable structure, in eV/atom: w 0.000; x 0.120.


## w
The following is a DFT calculation (PBE) of an optimized crystal structure of Ba2SrLiPt.

Properties
Fermi-level density of states ... 3.30 states/eV/cell
Space group ... No. 123

a = 6.243 Å, b = 6.243 Å, c = 6.001 Å
α = 90.00°, β = 90.00°, γ = 90.00°
Fractional coordinates of all 5 atoms:
Ba: 0.000 0.500 0.000
Ba: 0.500 0.000 0.000
Sr: 0.000 0.000 0.500
Li: 0.500 0.500 0.500
Pt: 0.000 0.000 0.000


## x
The following is a DFT calculation (PBE) of an optimized crystal structure of Ba2SrLiPt.

Properties
Fermi-level density of states ... 5.51 states/eV/cell
Space group ... No. 123

a = 6.268 Å, b = 6.268 Å, c = 5.367 Å
α = 90.00°, β = 90.00°, γ = 90.00°
Fractional coordinates of all 5 atoms:
>>>
Here the piece continues >

Proportional Giving: The Gift of Abundance

When people choose to give of the first fruits of their lives by giving a proportion of their income to God first, they experience a sense of abundance. Ask someone who tithes what happened in their life and they will say something like, “I would have thought that we would feel stretched, tight with our money, but the opposite happened. When we started tithing, we experienced abundance in all our life.”

We encourage our members to consider their pledge as a proportion of their income. The Biblical standard, and the standard of the Episcopal Church, is the tithe, or 10%. Whether you give 10% or 3%, we encourage you to calculate your pledge as a percentage, or proportion of your income. This is a way of giving the “first fruits” of our life to God and it puts all our spending into the context of our faith.

Proportional giving is a way of deciding how much to give. It is not a specific dollar amount, based on what we think we should give. It is a specific percentage based on what we have received; the gifts from God. If we give proportionally off the top, money will be a tool that reinforces our trust in God’s providence and care.

Proportional giving shifts our thinking from “fitting our giving to the church in with our other bills” to putting our commitment to God first. Proportional giving shifts our thinking from scarcity to abundance. We give back to God out of the abundance of what God has given us. This simple act can shift our entire relationship with money from one of fear to one of hope. Jesus said, “where your treasure is, there your heart will be also” (Mat 6:21). What we do with our money has a profound effect on our spiritual life. Proportional giving puts our faith in God first.

Here is an exercise to consider as you make your pledge for 2019:

  • Look at your pledge from 2018 (or the amount you gave).
  • Calculate your proportional giving rate by dividing what you gave by your income.
  • Consider increasing your pledge by 1% of your income, moving you closer to the tithe (10%).

FYI: The average pledge in the Episcopal Church is somewhere around 3% when considered as a proportion of the average income. If you are giving less than 3%, please consider coming up to that national average. Whatever you give, thank you for your trust as we do God’s work together.

How much do our people give?

Sources of Income for 2018

(Inserted here: data records)
-- begin --
Record 1
First-principles (GGA-PBE) data for an optimized crystal structure of La2Y2ErTm, as listed in the Alexandria database.

Computed properties:
For the density of states at the Fermi level, the calculation gives 1.629 states/eV/atom. The energy of formation is 0.073 eV/atom.

Unit cell a=5.6950 b=7.0602 c=9.8810 alpha=90.00 beta=90.00 gamma=90.00
With the nearest neighbours (Å) after each atom.
Fractional positions:
1 La 0.5000 0.0076 0.0000  6 La 3.53-3.78, 6 Y 3.74-3.76, 2 Tm 3.81
2 La 0.0000 0.2575 0.8219  5 Y 3.25-3.53
3 La 0.5000 0.5076 0.0000  6 La 3.53-3.78, 6 Y 3.74-3.76, 2 Tm 3.81
4 La 0.0000 0.7575 0.1781  5 Y 3.25-3.53
5 Y 0.0000 0.2575 0.1673  2 Tm 3.33, 3 La 3.41-3.53
6 Y 0.5000 0.2577 0.6643  3 Tm 3.19-3.53, 2 La 3.25
7 Y 0.0000 0.7575 0.8327  2 Tm 3.33, 3 La 3.41-3.53
8 Y 0.5000 0.7577 0.3357  3 Tm 3.19-3.53, 2 La 3.25
9 Er 0.0000 0.0076 0.5000  2 Er 3.53, 2 La 3.64, 4 Tm 3.70, 6 Y 3.72-3.73
10 Er 0.0000 0.5076 0.5000  2 Er 3.53, 2 La 3.64, 4 Tm 3.70, 6 Y 3.72-3.73
11 Tm 0.5000 0.2577 0.3415  5 Y 3.19-3.53
12 Tm 0.5000 0.7577 0.6585  5 Y 3.19-3.53

=====

Record 2
First-principles (GGA-PBE) data for an optimized crystal structure of Sm5SiBi4, as listed in the Alexandria database.

Computed properties:
For the density of states at the Fermi level, the calculation gives 0.338 states/eV/atom. The value obtained for the raw formation energy is -0.819 eV/atom.

Unit cell a=6.3584 b=7.7737 c=7.7737 alpha=80.37 beta=65.86 gamma=65.86
With the nearest neighbours (Å) after each atom.
Fractional positions:
1 Sm 0.9037 0.3803 0.8143  1 Si 3.00, 5 Bi 3.19-3.27
2 Sm 0.2840 0.8143 0.6197  1 Si 3.00, 5 Bi 3.19-3.27
3 Sm 0.7180 0.1857 0.3803  1 Si 3.00, 5 Bi 3.19-3.27
4 Sm 0.0983 0.6197 0.1857  1 Si 3.00, 5 Bi 3.19-3.27
5 Sm 0.5013 0.0000 0.0000  2 Si 3.18, 4 Bi 3.19
6 Si 0.0012 0.0000 0.0000  6 Sm 3.00-3.18
7 Bi 0.4076 0.3971 0.7897  6 Sm 3.19-3.27
8 Bi 0.8047 0.7897 0.6029  6 Sm 3.19-3.27
9 Bi 0.1972 0.2103 0.3971  6 Sm 3.19-3.27
10 Bi 0.5943 0.6029 0.2103  6 Sm 3.19-3.27

----------

No. 1
CdIn4BiS8: optimized geometry, PBE.

Summary:
final energy = -3.979 eV/atom

a b c (Å): 7.900 7.900 7.987
angles (deg): 60.36 60.36 60.00
Element x y z (fractional)
S  0.762  0.762  0.715
S  0.249  0.774  0.728
S  0.249  0.249  0.728
S  0.748  0.748  0.275
S  0.748  0.228  0.275
S  0.240  0.240  0.280
S  0.228  0.748  0.275
S  0.774  0.249  0.728
In  0.001  0.498  0.500
In  0.498  0.001  0.500
In  0.627  0.627  0.118
In  0.001  0.001  0.500
Bi  0.001  0.001  0.997
Cd  0.373  0.373  0.880

=====

No. 2
CdInSn2Bi: optimized geometry, PBE.

Summary:
ΔE_f = 68 kJ/mol of formula units

a b c (Å): 6.312 6.732 7.917
angles (deg): 115.16 90.00 90.00
Element x y z (fractional)
Sn  0.500  0.765  0.000
Sn  0.500  0.235  0.000
Sn  0.000  0.765  0.000
Sn  0.000  0.235  0.000
In  0.250  0.837  0.674
In  0.750  0.163  0.326
Bi  0.250  0.314  0.627
Bi  0.750  0.686  0.373
Cd  0.750  0.360  0.720
Cd  0.250  0.640  0.280

=====

No. 3
-- stop --

As each of us is a steward of what we have been given from God, the vestry is the steward of what the parish receives from those who give from their own resources. We would love that each person makes a pledge as his or her commitment to this parish. The vestry then allocates those gifts to support the mission and ministries of the parish.

Since we have adopted a balanced budget, our total operating income is $380,692. Our sources of income are from parishioners, other users of the building and the earnings from our general investment funds.

Your pledges for 2018 of $303,623 form the basis for our ministries and budget for 2018. The total number of pledges increased from 79 households to 97 households, an almost 23% increase. This is a demonstration of the growth of the parish and your commitment to our mission.

The average pledge at St. Dunstan’s Church is $3,400 per year and half the pledges are $2,000 or less. Even a small pledge adds to the good work we can do together. Please consider making a pledge at whatever level you can afford.

Parishioners also support our programs through special contributions at Easter and Christmas, as well as support for the Community Dinners. The total we expect to receive from our parishioners for 2018 is $359,356. We also receive income from those that use our building for their meetings and programs and the earnings from the investment funds.

Yours in Christ,